(Contents)
/*
The following is a quantum chemistry calculation of a 3-piece molecular cluster, C45H34O7 overall, from the OMol25 dataset.

```
! wB97M-V def2-TZVPD RIJCOSX def2/J DEFGRID3
* xyz 0 1
C 3.60464 -7.37202 -3.74339
C 3.96115 -6.34272 -2.65236
C 5.36115 -5.76357 -2.87438
C 5.78316 -4.50258 -2.14684
C 6.36409 -3.51167 -2.93575
C 6.83437 -2.32630 -2.40737
C 6.72445 -2.11794 -1.04465
C 6.14607 -3.09336 -0.22450
C 5.66226 -4.29296 -0.76192
C 5.03156 -5.34427 0.10675
C 6.11921 -2.76355 1.23533
O 6.17913 -3.58684 2.12266
C 6.07078 -1.32000 1.58909
C 6.60111 -0.38568 0.79848
C 6.61996 1.07291 1.12700
C 5.41949 1.83443 0.52914
C 4.82510 1.40773 -0.74912
O 5.64927 2.64539 -0.57268
C 7.23245 -0.84207 -0.47277
O 8.10529 -0.19661 -1.01230
H 3.50620 -8.36873 -3.31577
H 2.66000 -7.13451 -4.22677
H 4.38669 -7.43772 -4.49921
H 3.95057 -6.87508 -1.70441
H 3.21315 -5.55358 -2.59136
H 6.10296 -6.54922 -2.70034
H 5.43360 -5.52972 -3.93800
H 6.45122 -3.68006 -4.00107
H 7.27427 -1.57206 -3.04329
H 4.99178 -5.05195 1.14669
H 5.59134 -6.27967 0.05333
H 4.01509 -5.54636 -0.22266
H 5.62165 -1.09618 2.54817
H 6.56750 1.18389 2.20905
H 7.51560 1.55090 0.73616
H 4.71407 2.21888 1.26905
H 5.38978 0.82137 -1.45766
H 3.82012 1.74529 -0.95925
O 0.93307 1.64333 -2.28106
C -0.22142 2.00039 -2.17590
C -1.24853 1.11776 -1.55499
C -0.86308 -0.12451 -1.06794
C -1.79488 -0.94766 -0.45786
C -3.11626 -0.53500 -0.33224
C -3.50796 0.69508 -0.83122
C -2.57995 1.52631 -1.44427
C -3.02646 2.84436 -1.97834
O -4.19064 3.18623 -1.92383
C -1.99451 3.73679 -2.57881
C -2.37685 4.98516 -3.05361
C -1.42998 5.83905 -3.59285
C -0.09647 5.45047 -3.66006
C 0.28886 4.20400 -3.19716
C -0.65763 3.34183 -2.65826
H 0.16863 -0.43213 -1.16747
H -1.49093 -1.91219 -0.07320
H -3.84107 -1.17040 0.15814
H -4.53544 1.01460 -0.74433
H -3.41600 5.27676 -2.99299
H -1.72917 6.81171 -3.96016
H 0.64270 6.12230 -4.07561
H 1.32187 3.88908 -3.24706
O -5.07725 0.77125 2.57560
C -5.99971 1.39157 3.06370
C -6.50338 1.07415 4.43060
C -5.88011 0.07134 5.16286
C -6.31437 -0.21966 6.44458
C -7.37297 0.48997 7.00126
C -8.00546 1.48205 6.27172
C -7.57666 1.77569 4.98350
C -8.28582 2.83700 4.20998
O -9.24941 3.40886 4.67296
C -7.76652 3.16951 2.85346
C -8.38437 4.17453 2.11956
C -7.90045 4.51281 0.86633
C -6.79508 3.85216 0.34022
C -6.18468 2.84364 1.06425
C -6.66739 2.49480 2.31802
H -5.05568 -0.46969 4.71976
H -5.82628 -0.99901 7.01467
H -7.70506 0.26632 8.00639
H -8.83330 2.03709 6.69044
H -9.23948 4.68446 2.54099
H -8.38191 5.29767 0.29806
H -6.40672 4.11881 -0.63391
H -5.32614 2.32754 0.66299
*
```

SMILES string: CCCc1ccc2c(c1C)C(=O)C=C(C[C@@H]1CO1)C2=O.O=C1c2ccccc2C(=O)c2ccccc21.O=C1c2ccccc2C(=O)c2ccccc21
DFT total energy: -61548.7255 eV
Relative energy (zero: lowest compared OMol25 entry of this formula, charge and spin): 0.0 kcal/mol
Frontier orbital gap: 8.3 eV
M: 686.76 g mol⁻¹
LUMO energy: -1.0922 eV

----------

The following is a quantum chemistry calculation of C39H58Br40N2O7S2 as an isolated structure in a non-equilibrium geometry, from the OMol25 dataset.

Atoms and positions in Å:
C 5.315 4.078 -0.371
C 4.820 3.291 0.383
C 4.328 2.214 1.244
C 3.225 1.258 0.700
C 2.816 0.522 2.048
C 1.972 1.303 3.083
C 2.769 1.843 4.290
Br 0.802 -0.078 3.966
C 2.022 2.004 0.070
O 2.391 2.716 -1.093
C 2.130 4.103 -1.039
C 1.997 4.612 -2.500
C 2.950 5.787 -2.830
C 0.752 1.133 -0.333
S -0.528 0.944 0.938
O 0.203 1.598 -1.501
C -0.814 2.586 -1.417
C -2.235 2.047 -1.640
C -3.183 3.158 -2.111
C -2.276 0.771 -2.490
C -2.290 0.975 -4.021
C -1.933 -0.414 -4.638
C -1.232 1.966 -4.531
S 1.379 -0.551 -0.833
O 1.092 -1.548 0.146
O 0.740 -0.889 -2.050
O 2.913 -0.344 -1.225
C 3.840 0.132 -0.220
C 5.015 0.639 -1.129
C 4.646 1.397 -2.393
N 5.870 1.454 -3.261
N 4.296 -1.057 0.509
C 5.497 -1.058 1.279
C 5.370 -1.745 2.650
O 6.590 -0.682 0.966
C 4.107 -2.378 -0.092
C 4.690 -2.804 -1.429
O 3.527 -3.195 0.547
H 5.884 4.682 -1.021
H 4.039 2.662 2.192
H 5.178 1.567 1.466
H 2.364 -0.451 1.882
H 3.757 0.336 2.561
H 1.274 2.041 2.709
*/

(Wanted)
Could you duplicate the lines further above up to the one that holds "1.06425", that line included?

(Written answer)
The following is a quantum chemistry calculation of a 3-piece molecular cluster, C45H34O7 overall, from the OMol25 dataset.

```
! wB97M-V def2-TZVPD RIJCOSX def2/J DEFGRID3
* xyz 0 1
C 3.60464 -7.37202 -3.74339
C 3.96115 -6.34272 -2.65236
C 5.36115 -5.76357 -2.87438
C 5.78316 -4.50258 -2.14684
C 6.36409 -3.51167 -2.93575
C 6.83437 -2.32630 -2.40737
C 6.72445 -2.11794 -1.04465
C 6.14607 -3.09336 -0.22450
C 5.66226 -4.29296 -0.76192
C 5.03156 -5.34427 0.10675
C 6.11921 -2.76355 1.23533
O 6.17913 -3.58684 2.12266
C 6.07078 -1.32000 1.58909
C 6.60111 -0.38568 0.79848
C 6.61996 1.07291 1.12700
C 5.41949 1.83443 0.52914
C 4.82510 1.40773 -0.74912
O 5.64927 2.64539 -0.57268
C 7.23245 -0.84207 -0.47277
O 8.10529 -0.19661 -1.01230
H 3.50620 -8.36873 -3.31577
H 2.66000 -7.13451 -4.22677
H 4.38669 -7.43772 -4.49921
H 3.95057 -6.87508 -1.70441
H 3.21315 -5.55358 -2.59136
H 6.10296 -6.54922 -2.70034
H 5.43360 -5.52972 -3.93800
H 6.45122 -3.68006 -4.00107
H 7.27427 -1.57206 -3.04329
H 4.99178 -5.05195 1.14669
H 5.59134 -6.27967 0.05333
H 4.01509 -5.54636 -0.22266
H 5.62165 -1.09618 2.54817
H 6.56750 1.18389 2.20905
H 7.51560 1.55090 0.73616
H 4.71407 2.21888 1.26905
H 5.38978 0.82137 -1.45766
H 3.82012 1.74529 -0.95925
O 0.93307 1.64333 -2.28106
C -0.22142 2.00039 -2.17590
C -1.24853 1.11776 -1.55499
C -0.86308 -0.12451 -1.06794
C -1.79488 -0.94766 -0.45786
C -3.11626 -0.53500 -0.33224
C -3.50796 0.69508 -0.83122
C -2.57995 1.52631 -1.44427
C -3.02646 2.84436 -1.97834
O -4.19064 3.18623 -1.92383
C -1.99451 3.73679 -2.57881
C -2.37685 4.98516 -3.05361
C -1.42998 5.83905 -3.59285
C -0.09647 5.45047 -3.66006
C 0.28886 4.20400 -3.19716
C -0.65763 3.34183 -2.65826
H 0.16863 -0.43213 -1.16747
H -1.49093 -1.91219 -0.07320
H -3.84107 -1.17040 0.15814
H -4.53544 1.01460 -0.74433
H -3.41600 5.27676 -2.99299
H -1.72917 6.81171 -3.96016
H 0.64270 6.12230 -4.07561
H 1.32187 3.88908 -3.24706
O -5.07725 0.77125 2.57560
C -5.99971 1.39157 3.06370
C -6.50338 1.07415 4.43060
C -5.88011 0.07134 5.16286
C -6.31437 -0.21966 6.44458
C -7.37297 0.48997 7.00126
C -8.00546 1.48205 6.27172
C -7.57666 1.77569 4.98350
C -8.28582 2.83700 4.20998
O -9.24941 3.40886 4.67296
C -7.76652 3.16951 2.85346
C -8.38437 4.17453 2.11956
C -7.90045 4.51281 0.86633
C -6.79508 3.85216 0.34022
C -6.18468 2.84364 1.06425